Friday, October 17, 2008

CCK08: Too Much Openness?

One of the questions that came up in Alec Couros's excellent presentation in the Wednesday afternoon Elluminate session was whether there can be too much openness in this kind of networked, massively open teaching and learning environment.  It is a good question, and one that gets at some of the aspects of CCK08 that I've found less than cozily enjoyable: the back channel chatter.   Although my professor's p.o.v. makes me have a knee-jerk response to shush chatter, I know from my meeting participant's and student's p.o.v. that it is not necessarily disrespectful or off-topic, but can be a way of actively participating and creating connections among the group members (albeit not all members simultaneously).  

But in Wednesday's session, the text chat was a separate discussion that did not riff off of the audio presentation.  It was so distracting to me, a self-confessed text junkie who can't not read something (which is why the ever-more cluttered television screen is driving crazy), that I had to push the window off to the side so I couldn't see the text.  I thought it was rude, and was surprised to see who was doing the text chatting.

I have, however, decided to stick with CCK08, as a mediocre student, muttering to myself, writing my comments about the experience in the margins of my notebook/here on this blog.  The ideas are intriguing even if I don't burn for the details of the theory of connectivism, and the questions raised are important ones.  

In particular, I have been thinking of one of the themes that has recurred: digital identity (or digital citizenship, which isn't my favorite term), and how my students may or may not be thinking about how the traces they leave online might affect them later on.  I for one am glad that there wasn't a permanent, public face to my college years, and part of the separateness of the college experience as a place of experimentation and making mistakes that, certainly, can have consequences, but also can be separate from the "real" world of adulthood and worklife has been lost.   It's like we're all a little more stuck living in a small town.


Anonymous said...

Which session did you participate in? If it was the evening session as I expect the reason the chat was off topic was because Couros was giving a word-for-word repeat of the earlier session. It also was not on the topic many had expected. So those who had been at the earlier session had heard him already and were there to get other input from each other.

Also I think you missed the ciontext of the issue of openness. The discussion was about security and privCy and identity. Nothing to do with those who were allowed to chat or whether they should. I hope next time you are in this situation you will find out how to filter out those chatters you don't want to read while keeping the chat of others, especially Stephen and George. You are denying yourself rich resources for no reason.

Steve Sorden said...

-- Misplaced calculated crystals --
=====
Density functional theory data (PBE) for Re4As5S4 after structural relaxation.

Cell lengths 10.0280, 10.0280, 10.0280 Å; angles 90.00, 90.00, 90.00 degrees
Last column: nearest neighbours and their distance in Å.
Space group F-43m (No. 216)
One atom of each set of equivalent atoms:
1 Re 0.0989 0.0989 0.0989 [16 per cell]  3 S 2.35
2 As 0.0000 0.0000 0.5000 [4 per cell]  4 As 2.51
3 As 0.1447 0.1447 0.3553 [16 per cell]  1 As 2.51, 3 Re 2.65
4 S 0.1309 0.1309 0.8691 [16 per cell]  3 Re 2.35

## Properties
Formation energy, eV per formula unit: -6.358
DFT total energy, eV/atom: -7.23
ρ, Mg/m³: 8.218

=====

A:
Material: SrMo6S8
Method: DFT, PBE
State: optimized geometry

Cell and atoms, written as POSCAR:
```
SrMo6S8
1.0
6.571 0.000 0.000
0.189 6.645 0.000
0.039 0.054 6.705
Sr Mo S
1 6 8
Cartesian
0.000 0.000 0.000
1.671 3.748 2.822
2.820 1.550 3.767
3.004 3.917 5.174
3.795 2.782 1.532
3.979 5.149 2.939
5.127 2.951 3.883
0.941 2.592 4.965
1.719 1.607 1.652
1.899 5.851 4.158
2.657 4.893 0.855
4.142 1.806 5.850
4.899 0.848 2.547
5.079 5.092 5.053
5.857 4.107 1.741
```

Values from the calculation:
- SG = No. 2
- volume (Å³/cell) = 292.8

B:
Material: SrMo6S8
Method: DFT, PBE
State: optimized geometry

Cell and atoms, written as POSCAR:
```
SrMo6S8
1.0
6.079 0.000 0.000
-1.225 7.621 0.000
-1.362 -3.545 7.330
Sr Mo S
1 6 8
Cartesian
0.000 0.000 0.000
-1.607 0.542 6.070
1.483 5.488 0.004
1.309 6.115 2.525
2.183 -2.039 4.806
2.009 -1.412 7.326
5.099 3.533 1.261
-0.949 5.717 2.373
-0.510 2.013 3.013
1.176 3.123 0.476
0.411 3.631 5.738
3.081 0.445 1.592
2.316 0.952 6.855
4.003 2.062 4.317
4.441 -1.641 4.957
```

Values from the calculation:
- SG = No. 2
- volume (Å³/cell) = 339.6

Stability check: which of them is most stable? A.

A:
Material: Te2MoW2S4
Method: DFT, PBE
State: optimized geometry

Cell and atoms, written as POSCAR:
```
Te2MoW2S4
1.0
3.302 0.000 0.000
-1.651 2.860 0.000
0.000 0.000 30.539
Te Mo W S
2 1 2 4
Cartesian
0.000 0.000 0.000
0.000 0.000 3.857
0.000 0.000 25.402
1.651 0.953 1.929
1.651 0.953 18.338
0.000 0.000 16.801
0.000 0.000 19.874
1.651 0.953 23.873
1.651 0.953 26.931
```

Values from the calculation:
- SG = No. 156
- volume (Å³/cell) = 288.4

B:
Material: Te2MoW2S4
Method: DFT, PBE
State: optimized geometry

Cell and atoms, written as POSCAR:
```
Te2MoW2S4
1.0
3.297 0.000 0.000
-1.649 2.856 0.000
0.000 0.000 30.502
Te Mo W S
2 1 2 4
Cartesian
0.000 0.000 0.000
0.000 0.000 3.826
1.649 0.952 1.912
0.000 0.000 8.971
1.649 0.952 16.026
0.000 0.000 14.489
0.000 0.000 17.562
1.649 0.952 7.434
1.649 0.952 10.506
```

Values from the calculation:
- SG = No. 156
- volume (Å³/cell) = 287.2

Stability check: which of them is most stable? B.

A:
Material: Te2MoW2S4
Method: DFT, PBE
State: optimized geometry

Cell and atoms, written as POSCAR:
```
Te2MoW2S4
1.0
3.296 0.000 0.000
-1.648 2.854 0.000
0.000 0.000 30.587
Te Mo W S
2 1 2 4
Cartesian
0.000 0.000 1.918
0.000 0.000 28.669
0.000 1.903 0.000
0.000 0.000 7.077
0.000 0.000 23.510
=====

Not to be argumentative, but I have to admit that I was a little shocked by it too. I've also complained about it in some of my own posts. Some of us rush home to see the second viewing because it is hard to watch the first one at work. Maybe I'm old fashioned, but I have to say that I think it is a little rude to the speaker. It is also not cognitively sound. As we are learning with texting and driving, multitasking is not really possible. I had to close the window myself so that I could focus on Alec's presentation.

It is true, though, that we are free to close the window. I just think that I would be a little thrown by it if I ever had to present under those conditions.

Steve Mackenzie said...

Hi to ProfLL and more of a response to Steve.

I was not at the meeting, but it does not sound at all good and does sound totally disrespectful.

the beauty of the synchronous environment, especially when used more in an interactive learning way, is that the variety of tools does help to keep a variety of different learners engaged, and when the side discussions are relevent it adds to the learning experience.

I think most people are initially overwhelmed by the amount of mulititasking, but eventually become more comfortable with it.

I have only attended the first synchronous meeting. i quickly decided in this context thetextchatwas not much use to me - mainly because too many people, too many opinions on the same thing.

In smaller groups, say 15 it would work better

cheers Steve

Alec Couros said...

Hi all,
What you perceive as rudeness, I perceive differently. This backchannel chat, on that is not directly associated with the speaker, has been going on for quite some time. I noticed it in my online course, I notice it when I attend sessions at Edtech Talk, and I have noticed it at just about any Elluminate session I attend. As a speaker, I have never taken offense to this. In fact, I encourage the chat if people are indeed engaged and are learning. And it really changes the dynamic of what is important in many of these sessions ... student learning first, where what the speaker is saying is somewhat background 'noise'. This is not to say people do not take in some of the speaker's important points ... instead, they use certain pieces when relevant, and attach it to their own experience.

I prefer it this way. This was also a topic in my recent online course, and several students also thought it felt rude doing it. And I am sure many speakers would be offended in many cases, but I think we just have to think closely about what is happening, where learning occurs, and how presentations invoke learning.


Alec Couros said...

I should also say, that I agree with you though ... that learning this way is not for everyone, and if one wants to filter out the chatter(s), that does become difficult in a session like this. Thanks again for listening to the presentation.

Steve Sorden said...

**Records of crystals, kept here for reference:**
<<<
## Cs3Bi2I9 (PBE)

Data for a relaxed structure of Cs3Bi2I9.

For the total energy, the calculation gives -2.697 eV/atom. Its formation enthalpy at 0 K is -1.21 eV/atom.

Geometry as CIF:
```
data_Cs3Bi2I9
_space_group_name_H-M_alt 'P 63/m m c'
_space_group_IT_number 194
_space_group_name_Hall '-P 6c 2c'
_cell_length_a 8.6451
_cell_length_b 8.6451
_cell_length_c 21.9231
_cell_angle_alpha 90.00
_cell_angle_beta 90.00
_cell_angle_gamma 120.00
loop_
_atom_site_label
_atom_site_fract_x
_atom_site_fract_y
_atom_site_fract_z
Cs1 0.0000 0.0000 0.2500
Cs2 0.3333 0.6667 0.0794
Bi1 0.3333 0.6667 0.6557
I1 0.0023 0.5011 0.2500
I2 0.1657 0.3315 0.5822
```
>>>

I definitely agree when the chat window is used as a reflective and thoughtful way to interact with the speaker. If you look at the recording of the second session, however, the chat was off topic and conversational much of the time. When a guest speaker takes the time to prepare a presentation and takes time out of his or her day to speak with a group, then I think the group owes it to the speaker to stay engaged or at least not distract. I guess for me, it is a larger question of civility and manners. There is always time afterwards to hold a post-session chat for those who want to continue the conversation or take it in a new direction. Also, there is probably a difference in expectations between a talk-show format like EdTechTalk and an invited speaker academic presentation. :-)

BTW – Great presentation Alec. Lots of things to think about, especially on the differences between a PLE and a PLN, if there are any.

Professor Loire said...

I'm relieved Alec didn't think it was rude, but I guess I still do. I respectively disagree with Alec when he says that the speaker is background noise and student learning is foregrounded. What about teaching focus? What about listening and being surprised by what you hear, rather than chatting with your peers? Isn't there a point at which decenteredness makes it too hard for people to find the center again?

I also think, as I tried to suggest in my original post, that there is a difference between doodling in the margins of one's notebook and whispering in the back of the class; one only involves your own attention and the other requires others. As a teacher, I've seen students lose their way back to the center of the learning because they become so involved in the social activities that of course are going on in the traditional classroom, especially in mine, which have a lot of group and independent work. In the massively open environment, I see this pitfall writ large, because I am facing a version of it myself.

As I think about how I would want to employ some of these tools in my own teaching, especially thinking about the possibilities and pitfalls of the dual voice and text modes available in SL or in Elluminate that really have no parallel in brick and mortar classrooms, I think I would want to keep the text and voice conversations linked, perhaps with a designated text chat moderator role rotating among the students.

And, hey, thanks for reading and responding. I am completely thrilled by the comments here on the blog!

Alec Couros said...

@prof re: your disagreement "the speaker is background noise and student learning is foregrounded", I think I would agree with you in many cases, but I think it also depends on the learning situation that has been built. You (and the others here) have made me rethink this a bit, and I may have to blog it soon ... or at the very least, bring it up in the discussion of my open grad course next January. I think a balance must be gained among attribution factors: teaching styles, learning styles/preferences, and civility/protocol/manners.

Thanks again for blogging this, and thanks for the compliments (and for sticking up for me:-) ).

All the best.